-- File --
# LaTi6O12

A relaxed structure of LaTi6O12 (PBE-GGA, the Materials Project).

Space group: No. 12
E_form (meV per atom): -3448
E above lowest polymorph (eV per formula unit): 0.00
VASP energy (eV per cell): -337.92

a b c (Å): 8.2715 8.2715 9.7889
angles (deg): 55.13 55.13 65.82
Atoms (fractional coordinates):
Ti  0.3547  0.3547  0.4658
O  0.5219  0.8619  0.9486
Ti  0.3096  0.9802  0.5288
Ti  0.5023  0.8321  0.1850
Ti  0.6453  0.6453  0.5342
O  0.1381  0.4781  0.0514
O  0.8469  0.8469  0.3371
O  0.1498  0.1498  0.3927
O  0.1205  0.7869  0.7301
O  0.1790  0.5211  0.3297
Ti  0.8292  0.8292  0.8214
O  0.1531  0.1531  0.6629
O  0.8619  0.5219  0.9486
O  0.5211  0.1790  0.3297
O  0.7869  0.1205  0.7301
O  0.5452  0.5452  0.2786
O  0.4851  0.8177  0.3944
O  0.5149  0.1823  0.6056
Ti  0.1679  0.4977  0.8150
Ti  0.4977  0.1679  0.8150
Ti  0.0198  0.6904  0.4712
O  0.8795  0.2131  0.2699
Ti  0.9802  0.3096  0.5288
O  0.8502  0.8502  0.6073
Ti  0.6904  0.0198  0.4712
La  0.7686  0.2314  0.0000
O  0.4548  0.4548  0.7214
Ti  0.8321  0.5023  0.1850
La  0.2314  0.7686  0.0000
O  0.2131  0.8795  0.2699
O  0.4789  0.8210  0.6703
O  0.8210  0.4789  0.6703
O  0.4781  0.1381  0.0514
O  0.8177  0.4851  0.3944
Ti  0.1708  0.1708  0.1786
O  0.1823  0.5149  0.6056
O  0.8051  0.8051  0.0535
O  0.1949  0.1949  0.9465

=====

Version P
# MnH12C2NCl3O2 (GGA+U, optimized geometry)
data_MnH12C2NCl3O2
_chemical_formula_sum 'Mn4 H48 C8 N4 Cl12 O8'
_cell_length_a 10.646
_cell_length_b 10.646
_cell_length_c 9.249
_cell_angle_alpha 90.70
_cell_angle_beta 90.70
_cell_angle_gamma 70.17
_space_group_name_H-M_alt 'P 1'
_space_group_IT_number 1
loop_
_space_group_symop_operation_xyz
'x,y,z'
loop_
_atom_site_label
_atom_site_fract_x
_atom_site_fract_y
_atom_site_fract_z
Mn1 0.234 0.262 0.214
Mn2 0.262 0.234 0.714
Mn3 0.738 0.766 0.286
Mn4 0.766 0.738 0.786
H1 0.019 0.653 0.328
H2 0.026 0.822 0.096
H3 0.046 0.275 0.528
H4 0.112 0.642 0.916
H5 0.115 0.859 0.948
H6 0.141 0.885 0.552
H7 0.146 0.509 0.657
H8 0.165 0.595 0.086
H9 0.178 0.974 0.404
H10 0.183 0.804 0.380
H11 0.196 0.817 0.120
H12 0.244 0.443 0.531
H13 0.275 0.046 0.028
H14 0.320 0.670 0.622
H15 0.330 0.680 0.878
H16 0.338 0.509 0.901
H17 0.347 0.981 0.172
H18 0.358 0.888 0.584
H19 0.378 0.601 0.049
H20 0.399 0.622 0.451
H21 0.405 0.835 0.414
H22 0.443 0.244 0.031
H23 0.491 0.662 0.599
H24 0.491 0.854 0.843
H25 0.509 0.146 0.157
H26 0.509 0.338 0.401
H27 0.557 0.756 0.969
H28 0.595 0.165 0.586
H29 0.601 0.378 0.549
H30 0.622 0.399 0.951
H31 0.642 0.112 0.416
H32 0.653 0.019 0.828
H33 0.662 0.491 0.099
H34 0.670 0.320 0.122
H35 0.680 0.330 0.378
H36 0.725 0.954 0.972
H37 0.756 0.557 0.469
H38 0.804 0.183 0.880
H39 0.817 0.196 0.620
H40 0.822 0.026 0.596
H41 0.835 0.405 0.914
H42 0.854 0.491 0.343
H43 0.859 0.115 0.448
H44 0.885 0.141 0.052
H45 0.888 0.358 0.084
H46 0.954 0.725 0.472
H47 0.974 0.178 0.904
H48 0.981 0.347 0.672
C1 0.124 0.798 0.045
C2 0.202 0.876 0.455
C3 0.315 0.607 0.953
C4 0.393 0.685 0.547
C5 0.607 0.315 0.453
C6 0.685 0.393 0.047
C7 0.798 0.124 0.545
C8 0.876 0.202 0.955
N1 0.173 0.655 0.000
N2 0.345 0.827 0.500
N3 0.655 0.173 0.500
N4 0.827 0.345 0.000
Cl1 0.000 0.290 0.296
Cl2 0.000 0.710 0.704
Cl3 0.157 0.342 0.954
Cl4 0.216 0.498 0.297
Cl5 0.290 0.000 0.796
Cl6 0.342 0.157 0.454
Cl7 0.498 0.216 0.797
Cl8 0.502 0.784 0.203
Cl9 0.658 0.843 0.546
Cl10 0.710 0.000 0.204
Cl11 0.784 0.502 0.703
Cl12 0.843 0.658 0.046
O1 0.055 0.268 0.635
O2 0.234 0.440 0.638
O3 0.268 0.055 0.135
O4 0.440 0.234 0.138
O5 0.560 0.766 0.862
O6 0.732 0.945 0.865
O7 0.766 0.560 0.362
O8 0.945 0.732 0.365
# Space-group type = No. 15
# Total magnetic moment = 5.00 μB per formula unit

Version Q
# MnH12C2NCl3O2 (GGA+U, optimized geometry)
data_MnH12C2NCl3O2
_chemical_formula_sum 'Mn4 H48 C8 N4 Cl12 O8'
_cell_length_a 11.996
_cell_length_b 11.996
_cell_length_c 11.380
_cell_angle_alpha 90.00
_cell_angle_beta 90.00
_cell_angle_gamma 65.27
_space_group_name_H-M_alt 'P 1'
_space_group_IT_number 1
loop_

-- Request --
The reader should duplicate the notes above from the first line to the one with "0.115 0.448" with every line break kept.

-- Done --
# LaTi6O12

A relaxed structure of LaTi6O12 (PBE-GGA, the Materials Project).

Space group: No. 12
E_form (meV per atom): -3448
E above lowest polymorph (eV per formula unit): 0.00
VASP energy (eV per cell): -337.92

a b c (Å): 8.2715 8.2715 9.7889
angles (deg): 55.13 55.13 65.82
Atoms (fractional coordinates):
Ti  0.3547  0.3547  0.4658
O  0.5219  0.8619  0.9486
Ti  0.3096  0.9802  0.5288
Ti  0.5023  0.8321  0.1850
Ti  0.6453  0.6453  0.5342
O  0.1381  0.4781  0.0514
O  0.8469  0.8469  0.3371
O  0.1498  0.1498  0.3927
O  0.1205  0.7869  0.7301
O  0.1790  0.5211  0.3297
Ti  0.8292  0.8292  0.8214
O  0.1531  0.1531  0.6629
O  0.8619  0.5219  0.9486
O  0.5211  0.1790  0.3297
O  0.7869  0.1205  0.7301
O  0.5452  0.5452  0.2786
O  0.4851  0.8177  0.3944
O  0.5149  0.1823  0.6056
Ti  0.1679  0.4977  0.8150
Ti  0.4977  0.1679  0.8150
Ti  0.0198  0.6904  0.4712
O  0.8795  0.2131  0.2699
Ti  0.9802  0.3096  0.5288
O  0.8502  0.8502  0.6073
Ti  0.6904  0.0198  0.4712
La  0.7686  0.2314  0.0000
O  0.4548  0.4548  0.7214
Ti  0.8321  0.5023  0.1850
La  0.2314  0.7686  0.0000
O  0.2131  0.8795  0.2699
O  0.4789  0.8210  0.6703
O  0.8210  0.4789  0.6703
O  0.4781  0.1381  0.0514
O  0.8177  0.4851  0.3944
Ti  0.1708  0.1708  0.1786
O  0.1823  0.5149  0.6056
O  0.8051  0.8051  0.0535
O  0.1949  0.1949  0.9465

=====

Version P
# MnH12C2NCl3O2 (GGA+U, optimized geometry)
data_MnH12C2NCl3O2
_chemical_formula_sum 'Mn4 H48 C8 N4 Cl12 O8'
_cell_length_a 10.646
_cell_length_b 10.646
_cell_length_c 9.249
_cell_angle_alpha 90.70
_cell_angle_beta 90.70
_cell_angle_gamma 70.17
_space_group_name_H-M_alt 'P 1'
_space_group_IT_number 1
loop_
_space_group_symop_operation_xyz
'x,y,z'
loop_
_atom_site_label
_atom_site_fract_x
_atom_site_fract_y
_atom_site_fract_z
Mn1 0.234 0.262 0.214
Mn2 0.262 0.234 0.714
Mn3 0.738 0.766 0.286
Mn4 0.766 0.738 0.786
H1 0.019 0.653 0.328
H2 0.026 0.822 0.096
H3 0.046 0.275 0.528
H4 0.112 0.642 0.916
H5 0.115 0.859 0.948
H6 0.141 0.885 0.552
H7 0.146 0.509 0.657
H8 0.165 0.595 0.086
H9 0.178 0.974 0.404
H10 0.183 0.804 0.380
H11 0.196 0.817 0.120
H12 0.244 0.443 0.531
H13 0.275 0.046 0.028
H14 0.320 0.670 0.622
H15 0.330 0.680 0.878
H16 0.338 0.509 0.901
H17 0.347 0.981 0.172
H18 0.358 0.888 0.584
H19 0.378 0.601 0.049
H20 0.399 0.622 0.451
H21 0.405 0.835 0.414
H22 0.443 0.244 0.031
H23 0.491 0.662 0.599
H24 0.491 0.854 0.843
H25 0.509 0.146 0.157
H26 0.509 0.338 0.401
H27 0.557 0.756 0.969
H28 0.595 0.165 0.586
H29 0.601 0.378 0.549
H30 0.622 0.399 0.951
H31 0.642 0.112 0.416
H32 0.653 0.019 0.828
H33 0.662 0.491 0.099
H34 0.670 0.320 0.122
H35 0.680 0.330 0.378
H36 0.725 0.954 0.972
H37 0.756 0.557 0.469
H38 0.804 0.183 0.880
H39 0.817 0.196 0.620
H40 0.822 0.026 0.596
H41 0.835 0.405 0.914
H42 0.854 0.491 0.343
H43 0.859 0.115 0.448